One often overlooked key to successfully working with an expert witness is the protection of privilege and work product. Until the expert is actually disclosed to the other side, it’s in the best interest of the client to make sure that the expert’s work is protected.
While no airtight accountant-client privilege exists, it is still possible to protect communications when an accountant (or other expert) is working with an attorney on a litigation matter.
Protecting the work product can provide a huge advantage in the early stages of litigation. It allows the attorney to explore possible assertions and defenses in the case with the help of an expert, yet it doesn’t expose the expert’s opinions and input to scrutiny from opposing counsel.
Litigation Advantage
When you are unsure of the outcome of an expert’s work, it might be very wise to protect that work. You are looking for an expert opinion that helps your case. If your expert is ethical, she or he will tell the truth no matter what that truth is or whether it helps your case. If that opinion is detrimental to the case, the attorney obviously won’t want to use it.
It is not uncommon for other problems to arise with the work of the expert. What if the expert realizes that the subject matter of the case is outside her or his scope of expertise? What if the attorney changes her or his mind about the type of opinion needed? What if the engagement simply doesn’t work out in a way that the expert can provide a proper opinion?
Any qualified, competent, and ethical expert should be willing to be dismissed from the case at the attorney’s discretion, and all work and opinions should be kept strictly confidential. The only exception to this should be a court order requiring the expert to turn over documentation and opinions.
Within the rules of the game, the adverse opinion and the associated work product need to be kept from opposing counsel as a basic part of a litigation strategy. So it’s necessary to use all legal means to make sure that opinion stays private, between the attorney and the expert only. The attorney does not want the other side examining the expert’s notes or file, and certainly doesn’t want any probing into the reason for parting ways.
Procedurally Speaking
In order to protect the work product and privilege, it’s important that the expert contract directly with the attorney to provide consulting services. The fees are paid by the attorney, although in almost all cases the attorney will require the client to provide the funds. The engagement agreement is between the attorney and the expert, and the attorney directs all of the work.
Direct communication between the client and the expert outside of the presence of the attorney is discouraged. It’s best to have communications go through the attorney so that you’re assured of maintaining privilege. While direct communication between the client and the expert wouldn’t automatically mean that privilege is waived and the work product is wide open, it’s just not wise to take the risk that such a thing might happen.
____________
C37H45F9MnOP3 as an isolated structure. Source: the OMol25 dataset; level of theory: wB97M-V/def2-TZVPD.

E_HOMO (alpha / beta) in eV: -17.37 / -17.39
<S²>: 4.102
Multiplicity: 4
Charge: +3
Frontier orbital gap (alpha / beta) in hartree: 0.2342 / 0.2681

Last column: natural (NBO) charge in e.
Atoms and positions in Å:
C: 0.6256 1.4298 3.9676  -0.202
H: -1.3489 3.3345 -0.3741  0.274
C: 1.5978 -2.3702 1.2526  -0.074
H: 4.1990 -0.2844 -2.6183  0.265
Mn: 1.0317 0.2640 -0.3968  0.865
H: 0.7883 -3.0928 1.1853  0.214
F: -0.6061 -6.3064 1.5919  -0.313
C: -1.4631 -1.8701 -0.0576  -0.420
H: 2.1558 2.9916 3.9000  0.214
C: 0.0372 -0.7633 -2.8878  -0.295
H: -0.6647 2.6201 5.2152  0.254
H: 3.5587 1.4493 1.7448  0.267
H: 0.6237 -1.4030 -2.2427  0.221
H: 1.8540 2.3095 5.4990  0.252
F: -2.6006 -6.6071 0.8123  -0.294
C: 4.1531 0.8433 1.0648  -0.951
H: 3.6915 -2.3701 1.7698  0.215
C: -5.2590 0.5967 -0.2767  -0.146
H: 5.1644 1.2478 0.9844  0.280
H: -1.9846 -3.4506 2.8989  0.264
C: -4.1633 2.0460 1.3164  -0.118
F: 1.2341 0.3914 -6.6817  -0.309
C: -6.6755 2.0696 1.1685  0.967
C: 3.5938 2.5048 -1.2207  -0.736
H: -1.6657 -5.1067 -1.0342  0.264
H: -0.4666 2.7025 -2.9282  0.275
C: 1.9421 2.0660 4.4398  -0.590
C: -1.6433 -2.0371 1.3157  -0.133
F: -7.3365 1.0936 1.7925  -0.297
F: -6.5599 3.1035 2.0014  -0.302
C: 0.8341 0.8193 1.3561  -0.543
H: 1.3809 -1.6391 2.0239  0.225
F: -2.3267 -5.8062 2.8054  -0.298
H: 2.8982 -3.9293 1.9604  0.268
H: -1.4042 -2.8498 -1.9872  0.234
C: -1.9325 0.5963 -3.2671  -0.216
H: -2.8277 1.0893 -2.9052  0.255
C: -0.5383 2.4179 4.1516  -0.589
H: -2.2323 1.2176 -5.2985  0.264
P: -1.3404 -0.1649 -0.6297  1.183
P: 3.4353 0.8158 -0.5891  1.014
H: -4.0022 -0.6670 -1.4547  0.238
C: 2.9498 -3.0398 1.3338  -0.434
H: -1.4761 2.0054 3.7724  0.210
H: 2.5989 3.4652 0.4712  0.267
C: -0.3387 3.5833 -0.0562  -0.968
C: 0.7396 1.0992 2.5358  0.306
C: -1.6430 -4.2420 -0.3820  -0.162
H: 4.6890 -1.1740 -1.1535  0.263
C: -5.3157 1.5697 0.7208  -0.075
C: 4.5537 -0.1886 -1.5923  -0.950
C: 3.3012 -3.3791 -0.1322  -0.428
C: -1.8232 -3.3078 1.8381  -0.185
C: 0.5799 2.8661 -2.6944  -0.986
H: 1.1920 -0.5614 4.6740  0.218
C: -1.8006 -4.4045 0.9892  -0.076
H: -1.6607 -1.1791 1.9795  0.219
P: 0.8705 2.5927 -0.9378  1.232
C: 0.3500 0.1305 4.7436  -0.588
H: -4.2261 2.7870 2.1015  0.253
H: -0.2384 3.4389 1.0182  0.272
C: -0.0732 0.1314 -6.5575  0.968
H: 1.4851 -3.2728 -1.3312  0.215
H: 1.1899 2.2222 -3.3278  0.267
H: -0.5536 -0.3691 4.3852  0.211
H: 4.5860 2.8882 -0.9744  0.289
C: 2.2770 -2.6160 -0.9707  -0.081
H: 4.3206 -3.0850 -0.3704  0.228
H: -6.1735 0.2233 -0.7208  0.265
C: -2.9288 1.5618 0.9023  -0.213
H: 0.8289 3.9120 -2.8926  0.286
H: 5.5225 0.3178 -1.6039  0.286
H: 3.5173 2.4775 -2.3097  0.261
F: -0.3257 -1.0324 -7.1504  -0.290
C: 2.4870 3.3529 -0.6085  -0.741
H: -0.1383 4.6280 -0.3105  0.284
C: -1.5982 0.6710 -4.6119  -0.080
C: -2.8686 0.6105 -0.1074  -0.407
O: 1.6431 -1.6546 -0.0477  -0.632
H: -0.3360 3.3677 3.6505  0.213
H: 2.4543 4.3540 -1.0447  0.286
____________
I typically stay in close contact with the attorney while evaluating the information and evidence in a case. I often discuss what I’ve found prior to committing my opinions to writing. There are cases in which the attorney decides a written report should not be done. I can respect that decision, and would rather hold off writing a report until the attorney gives the go-ahead, than risk writing a report the attorney doesn’t want.
How would that be an issue if I’m just a consultant to the attorney and all privilege and work product rules apply? Sometimes cases take turns that you don’t expect. There can come a time when communications between the attorney and the consulting expert must be revealed. So even though the attorney didn’t intend for the other side to know about the expert’s work, sometimes it can become an issue. At that point, the less paperwork in the file, often the better.
So in cases where I am a consulting expert and I come to a conclusion that the attorney does not want to use, I often won’t even write a report. I just close my file and our working relationship on that matter is ended.
Expert as Consultant
Prior to being disclosed as a testifying expert, the expert is really consulting on behalf of the attorney, examining information and evidence and advising the attorney in the consultant’s area of expertise. The expert is essentially helping the attorney decide if a relevant and appropriate opinion can be rendered in the case. In other words, the attorney is being given the opportunity to decide if she or he would like the expert to be officially declared an expert in the case, and then render an opinion.
Again, if the expert’s opinion is not helpful to the case, the attorney doesn’t want it and certainly doesn’t want that opinion disclosed to anyone. Does this cause ethical dilemmas for the expert? It should not. As long as the expert gives a factually correct and appropriate opinion, if the attorney decides not to use that opinion (because it’s adverse to the case) it’s not the expert’s problem.
Ethics only become an issue when experts try to craft opinions that help clients. That’s not the work of a good expert. A good expert sticks to the facts and offers up an appropriate opinion that can be supported by the facts of the case and common practices in the expert’s field. A bad expert is wishy-washy, and is willing to change the opinion as necessary and as directed by the attorney.
I’d much rather be an ethical expert who sticks to her guns, regardless of which side of the case it benefits. If the attorney has to discontinue the engagement because my opinion is not helpful to the case, so be it. There will be other engagements around the corner. Besides, what attorney really wants an expert who is willing to lie and manipulate the facts and the opinions? That’s just setting up the expert for trouble when opposing counsel starts delving further into the opinions and the subject matter.
Consulting with an attorney on a matter can provide a tremendous litigation advantage if carried out properly. This is one very effective way for an attorney to evaluate the merits of the case and potential strategic positions to take during litigation, without the risk that the other side will have access to that work.
Of course, once an expert is disclosed during discovery, the work, notes, and opinions of that expert will soon be revealed as a normal part of the litigation process. However, until that disclosure occurs, it makes sense to protect the consulting expert’s work to the fullest extent possible.